Dana-Farber Researchers Share Latest Blood Cancer and Blood Disorder Research

Dana-Farber physician-scientists presented results of more than 100 research studies at the 66th American Society of Hematology (ASH) annual meeting. Scientists shared findings across a range of hematologic disorders, underscoring the Institute’s dedication to innovation in hematologic oncology research, advances in early disease detection and intervention, and improving patient outcomes.   ASH is the world’s most comprehensive hematology … Read more

For Neurodiverse Patient, New Program Provides Comfort, Allies 

Naomi Dogan, PhD, still remembers a visit to the hospital earlier this year for blood work, after joining a clinical trial for patients incurring symptoms related to polycythemia vera — one of a group of rare blood disorders known as myeloproliferative neoplasms (MPNs).   In a far corner of the large room a machine quietly hummed … Read more

Attached: calculated crystals:
- - -
No. 1
# SiO2
Simulated X-ray powder pattern, CuKα. Input: a DFT-relaxed cell (PBE, the Materials Project).
Kinematic intensities with the Lorentz-polarization factor, no thermal factor.

Top 6 peaks for 10 to 90 degrees two-theta, by intensity:
- 2θ = 18.65°, rel. 100.0, hkl 1 1 1
- 2θ = 10.22°, rel. 96.4, hkl 0 0 2
- 2θ = 23.69°, rel. 71.4, hkl 1 1 3
- 2θ = 20.68°, rel. 65.4, hkl 1 1 2
- 2θ = 24.08°, rel. 46.9, hkl 0 2 4
- 2θ = 16.15°, rel. 45.8, hkl 0 2 2

Cell and atoms:
```
data_SiO2
_chemical_formula_sum 'Si24 O48'
_symmetry_space_group_name_H-M 'C m c m'
_symmetry_Int_Tables_number 63
_symmetry_space_group_name_Hall '-C 2c 2'
_cell_length_a 5.2781
_cell_length_b 14.1900
_cell_length_c 17.3165
_cell_angle_alpha 90.00
_cell_angle_beta 90.00
_cell_angle_gamma 90.00
loop_
_atom_site_label
_atom_site_fract_x
_atom_site_fract_y
_atom_site_fract_z
Si1 0.0000 0.0288 0.0907
Si2 0.0000 0.2424 0.0537
Si3 0.0000 0.4289 0.1576
O1 0.0000 0.0000 0.0000
O2 0.0000 0.1427 0.0997
O3 0.0000 0.3261 0.1171
O4 0.0000 0.4139 0.2500
O5 0.2502 0.0125 0.6324
O6 0.2500 0.2500 0.0000
```


No. 2
# InAgTe2
Simulated X-ray powder pattern, CuKα. Input: a DFT-relaxed cell (PBE, the Materials Project).
Kinematic intensities with the Lorentz-polarization factor, no thermal factor.

Top 6 peaks for 10 to 90 degrees two-theta, by intensity:
- 2θ = 29.48°, rel. 100.0, hkl 1 0 4
- 2θ = 42.05°, rel. 37.7, hkl 1 1 0
- 2θ = 42.31°, rel. 36.7, hkl 0 1 8
- 2θ = 52.19°, rel. 19.7, hkl 0 2 4
- 2θ = 69.17°, rel. 16.5, hkl 2 1 4
- 2θ = 69.55°, rel. 16.1, hkl 1 1 12

Cell and atoms:
```
data_InAgTe2
_chemical_formula_sum 'In3 Ag3 Te6'
_symmetry_space_group_name_H-M 'R -3 m'
_symmetry_Int_Tables_number 166
_symmetry_space_group_name_Hall '-R 3 2"'
_cell_length_a 4.2971
_cell_length_b 4.2971
_cell_length_c 20.8664
_cell_angle_alpha 90.00
_cell_angle_beta 90.00
_cell_angle_gamma 120.00
loop_
_atom_site_label
_atom_site_fract_x
_atom_site_fract_y
_atom_site_fract_z
In1 0.0000 0.0000 0.0000
Ag1 0.0000 0.0000 0.5000
Te1 0.0000 0.0000 0.2478
```


No. 3
# Bi4P3O12
Simulated X-ray powder pattern, CuKα. Input: a DFT-relaxed cell (PBE, the Materials Project).
Kinematic intensities with the Lorentz-polarization factor, no thermal factor.

Top 6 peaks for 10 to 90 degrees two-theta, by intensity:
- 2θ = 27.14°, rel. 100.0, hkl 3 1 0
- 2θ = 32.24°, rel. 78.9, hkl 3 2 1
- 2θ = 44.47°, rel. 61.1, hkl 4 3 1
- 2θ = 20.95°, rel. 58.9, hkl 2 1 1
- 2θ = 42.63°, rel. 40.9, hkl 4 2 2
- 2θ = 54.44°, rel. 30.4, hkl 6 1 1

Cell and atoms:
```
data_Bi4P3O12
_chemical_formula_sum 'Bi16 P12 O48'
_symmetry_space_group_name_H-M 'I -4 3 d'
_symmetry_Int_Tables_number 220
_symmetry_space_group_name_Hall 'I -4bd 2c 3'
_cell_length_a 10.3890
_cell_length_b 10.3890
_cell_length_c 10.3890
_cell_angle_alpha 90.00
_cell_angle_beta 90.00
_cell_angle_gamma 90.00
loop_
_atom_site_label
_atom_site_fract_x
_atom_site_fract_y
_atom_site_fract_z
Bi1 0.0767 0.4233 0.5767
P1 0.0000 0.2500 0.8750
O1 0.0008 0.3747 0.7915
```


No. 4
- - -

Are There Cancers of Red Blood Cells and Blood Platelets? 

While hematological cancers like leukemia, lymphoma, and multiple myeloma involve white blood cells, other, rarer hematologic malignancies affect red blood cells and platelets. These include polycythemia vera, in which the bone marrow produces too many red blood cells, and essential thrombocythemia, in which platelets levels are abnormally high. Both are chronic diseases that can usually … Read more

Hemoglobin and Cancer: What’s the Connection?

Hemoglobin is an essential protein in your red blood cells that carries oxygen to your body’s organs and tissues and transports carbon dioxide from your organs and tissues back to your lungs.  What type of cancer causes low hemoglobin?   Anemia is essentially a blood condition marked by a low level of hemoglobin and red blood cells, and in some cases … Read more

What is ‘Chimeric’ Antigen Receptor (CAR) T-Cell Therapy

One of the most exciting new cancer treatments, CAR T-cell therapy takes its complicated name, in part, from a fire-breathing monster in an ancient Greek myth.  CAR is an acronym for “chimeric antigen receptor,” referring to genetically engineered molecules manufactured in a laboratory, inserted into the genetic material of immune T cells that have been removed from … Read more

Blood Relatives: Family Bound by Love and Rare Blood Disorder

Tracy Antonelli was four when she was diagnosed with thalassemia, a rare blood disorder that occurs often enough in Mediterranean countries like Italy that an old adage, uttered only partially in jest, warns Italian-Americans against marrying other Italian-Americans. In 2002, a grown-up Antonelli wed Patrick Mooty, whose background is mostly Irish. Their three daughters – … Read more

The Genomics Behind Blood Cancers and Other Blood Disorders

Many of the secrets of why precancerous conditions sometimes become cancerous are hidden in cells’ genes. At Dana-Farber, researchers are collecting tissue samples to see if they can pry open those secrets and unlock new treatment options for certain types of blood cancers and other blood disorders. They’re also exploring whether tumor DNA floating in … Read more

What is a Benign Blood Disorder?

It might sound counterintuitive, but not every patient comes to Dana-Farber for cancer treatment. For example, the Institute’s experts regularly see patients seeking help with benign (non-cancerous) blood disorders. Benign blood disorders such as anemia and sickle cell disease are often treated at cancer centers because such institutions are home to experts in hematology, which … Read more